What to do.
Retype the whole of the entries underneath without additions.

Source.
<<<
Formula: C40H68BBrIN15O5PS
Source: the Open Molecules 2025 dataset
Level of theory: ωB97M-V/def2-TZVPD

The LUMO energy is -0.10224 hartree. As for the HOMO-LUMO gap: 6.6661 eV. The value obtained for the electronic energy is -174103.4332 eV. The total charge is +1.

Last columns: bonded neighbours and bond lengths (Å).
Geometry (Å):
1 C 0.78054 -0.17309 5.80318  C2 1.554, H27 1.099, H28 1.102, H29 1.100
2 C -0.30229 -0.16562 4.68902  C1 1.554, C3 1.548, H30 1.104, H31 1.099
3 C -0.87375 -1.58238 4.44025  C2 1.548, C4 1.577, H32 1.104, H33 1.099
4 C -0.02470 -2.45389 3.43772  C3 1.577, N5 1.478, H34 1.083, H35 1.104
5 N 1.32924 -1.91739 3.18550  C4 1.478, C6 1.340, H36 1.015
6 C 1.71198 -2.03822 1.90736  N5 1.340, N7 1.304, C22 1.550
7 N 1.10607 -2.65386 0.93095  C6 1.304, C8 1.464, H37 1.017
8 C 1.68284 -2.60647 -0.41362  N7 1.464, S9 1.839, P10 1.963, C13 1.592
9 S 2.28051 -4.23799 -1.01516  C8 1.839, H38 1.359
10 P 0.11763 -2.23786 -1.54015  C8 1.963, O11 1.652, Br12 2.254
11 O -1.09115 -1.62198 -0.59704  P10 1.652, H39 0.972
12 Br -0.76843 -4.20200 -2.20297  P10 2.254
13 C 2.74040 -1.42558 -0.27207  C8 1.592, C14 1.555, B18 1.637, C22 1.558
14 C 3.98453 -1.43492 -1.20490  C13 1.555, O15 1.420, H40 1.105, H41 1.099
15 O 5.01151 -0.71559 -0.53838  C14 1.420, C16 1.436
16 C 5.34844 0.53343 -1.16258  O15 1.436, C17 1.554, H42 1.099, H43 1.106
17 C 6.73427 0.94017 -0.58814  C16 1.554, H44 1.106, H45 1.096, H46 1.099
18 B 1.89333 -0.06094 -0.58722  C13 1.637, O19 1.401, O20 1.398
19 O 0.82391 0.33211 0.22748  B18 1.401, H47 0.971
20 O 2.20934 0.80866 -1.63523  B18 1.398, C21 1.426
21 C 1.53710 0.52165 -2.85975  O20 1.426, H48 1.106, H49 1.107, H50 1.098
22 C 2.99442 -1.45093 1.26506  C6 1.550, C13 1.558, I23 2.182, C24 1.592
23 I 3.49865 0.45617 2.19848  C22 2.182
24 C 4.12544 -2.40073 1.85951  C22 1.592, O25 1.408, H51 1.107, H52 1.099
25 O 4.54270 -3.42120 0.98312  C24 1.408, C26 1.429
26 C 4.32610 -4.73101 1.51302  O25 1.429, H53 1.101, H54 1.104, H55 1.101
27 H 1.70913 -0.66931 5.48777  C1 1.099
28 H 0.98038 0.87633 6.07203  C1 1.102
29 H 0.38579 -0.65691 6.70933  C1 1.100
30 H -1.13819 0.43762 5.08561  C2 1.104
31 H 0.01277 0.32203 3.75554  C2 1.099
32 H -1.86866 -1.44398 3.98111  C3 1.104
33 H -1.04635 -2.16932 5.35346  C3 1.099
34 H -0.62611 -2.57463 2.54474  C4 1.083
35 H 0.10579 -3.43461 3.92662  C4 1.104
36 H 2.02810 -2.24916 3.84187  N5 1.015
37 H 0.23776 -3.17837 1.00128  N7 1.017
38 H 2.51548 -3.95264 -2.32305  S9 1.359
39 H -1.48163 -2.32939 -0.05693  O11 0.972
40 H 4.36270 -2.46850 -1.30847  C14 1.105
41 H 3.76753 -1.07962 -2.22206  C14 1.099
42 H 5.37894 0.48707 -2.26039  C16 1.099
43 H 4.63655 1.28784 -0.77903  C16 1.106
44 H 6.75550 0.51925 0.43490  C17 1.106
45 H 6.83957 2.02525 -0.47157  C17 1.096
46 H 7.56495 0.46839 -1.13113  C17 1.099
47 H 1.10044 1.19995 0.56349  O19 0.971
48 H 0.43760 0.61834 -2.78910  C21 1.106
49 H 1.72325 -0.52242 -3.17879  C21 1.107
50 H 1.87403 1.16709 -3.68128  C21 1.098
51 H 3.75830 -2.88615 2.78364  C24 1.107
52 H 5.00587 -1.79068 2.10594  C24 1.099
53 H 5.21610 -4.99836 2.10426  C26 1.101
54 H 4.31754 -5.41184 0.64416  C26 1.104
55 H 3.38065 -4.85494 2.06405  C26 1.101
56 C 3.67695 4.42608 -0.42991  C57 1.475, H59 1.085, H60 1.089, H61 1.085
57 C 5.04024 4.39688 0.13176  C56 1.475, N58 1.146
58 N 6.10091 4.36953 0.56581  C57 1.146
59 H 3.69732 4.10677 -1.46700  C56 1.085
60 H 3.02906 3.75638 0.13461  C56 1.089
61 H 3.27901 5.43444 -0.37619  C56 1.085
62 C -4.17386 -4.29670 1.03134  C63 1.468, H65 1.090, H66 1.081, H67 1.087
63 C -2.83326 -4.30183 1.63018  C62 1.468, N64 1.148
64 N -1.78630 -4.32014 2.10141  C63 1.148
65 H -4.11238 -4.63092 -0.00402  C62 1.090
66 H -4.82078 -4.96385 1.58448  C62 1.081
67 H -4.58849 -3.29241 1.05929  C62 1.087
68 C -7.52208 -5.23309 -1.12240  C69 1.468, H71 1.090, H72 1.088, H73 1.089
69 C -7.14538 -4.78458 0.22356  C68 1.468, N70 1.147
70 N -6.85336 -4.43353 1.27526  C69 1.147
71 H -6.63413 -5.31498 -1.74842  C68 1.090
>>>

Outcome.
Formula: C40H68BBrIN15O5PS
Source: the Open Molecules 2025 dataset
Level of theory: ωB97M-V/def2-TZVPD

The LUMO energy is -0.10224 hartree. As for the HOMO-LUMO gap: 6.6661 eV. The value obtained for the electronic energy is -174103.4332 eV. The total charge is +1.

Last columns: bonded neighbours and bond lengths (Å).
Geometry (Å):
1 C 0.78054 -0.17309 5.80318  C2 1.554, H27 1.099, H28 1.102, H29 1.100
2 C -0.30229 -0.16562 4.68902  C1 1.554, C3 1.548, H30 1.104, H31 1.099
3 C -0.87375 -1.58238 4.44025  C2 1.548, C4 1.577, H32 1.104, H33 1.099
4 C -0.02470 -2.45389 3.43772  C3 1.577, N5 1.478, H34 1.083, H35 1.104
5 N 1.32924 -1.91739 3.18550  C4 1.478, C6 1.340, H36 1.015
6 C 1.71198 -2.03822 1.90736  N5 1.340, N7 1.304, C22 1.550
7 N 1.10607 -2.65386 0.93095  C6 1.304, C8 1.464, H37 1.017
8 C 1.68284 -2.60647 -0.41362  N7 1.464, S9 1.839, P10 1.963, C13 1.592
9 S 2.28051 -4.23799 -1.01516  C8 1.839, H38 1.359
10 P 0.11763 -2.23786 -1.54015  C8 1.963, O11 1.652, Br12 2.254
11 O -1.09115 -1.62198 -0.59704  P10 1.652, H39 0.972
12 Br -0.76843 -4.20200 -2.20297  P10 2.254
13 C 2.74040 -1.42558 -0.27207  C8 1.592, C14 1.555, B18 1.637, C22 1.558
14 C 3.98453 -1.43492 -1.20490  C13 1.555, O15 1.420, H40 1.105, H41 1.099
15 O 5.01151 -0.71559 -0.53838  C14 1.420, C16 1.436
16 C 5.34844 0.53343 -1.16258  O15 1.436, C17 1.554, H42 1.099, H43 1.106
17 C 6.73427 0.94017 -0.58814  C16 1.554, H44 1.106, H45 1.096, H46 1.099
18 B 1.89333 -0.06094 -0.58722  C13 1.637, O19 1.401, O20 1.398
19 O 0.82391 0.33211 0.22748  B18 1.401, H47 0.971
20 O 2.20934 0.80866 -1.63523  B18 1.398, C21 1.426
21 C 1.53710 0.52165 -2.85975  O20 1.426, H48 1.106, H49 1.107, H50 1.098
22 C 2.99442 -1.45093 1.26506  C6 1.550, C13 1.558, I23 2.182, C24 1.592
23 I 3.49865 0.45617 2.19848  C22 2.182
24 C 4.12544 -2.40073 1.85951  C22 1.592, O25 1.408, H51 1.107, H52 1.099
25 O 4.54270 -3.42120 0.98312  C24 1.408, C26 1.429
26 C 4.32610 -4.73101 1.51302  O25 1.429, H53 1.101, H54 1.104, H55 1.101
27 H 1.70913 -0.66931 5.48777  C1 1.099
28 H 0.98038 0.87633 6.07203  C1 1.102
29 H 0.38579 -0.65691 6.70933  C1 1.100
30 H -1.13819 0.43762 5.08561  C2 1.104
31 H 0.01277 0.32203 3.75554  C2 1.099
32 H -1.86866 -1.44398 3.98111  C3 1.104
33 H -1.04635 -2.16932 5.35346  C3 1.099
34 H -0.62611 -2.57463 2.54474  C4 1.083
35 H 0.10579 -3.43461 3.92662  C4 1.104
36 H 2.02810 -2.24916 3.84187  N5 1.015
37 H 0.23776 -3.17837 1.00128  N7 1.017
38 H 2.51548 -3.95264 -2.32305  S9 1.359
39 H -1.48163 -2.32939 -0.05693  O11 0.972
40 H 4.36270 -2.46850 -1.30847  C14 1.105
41 H 3.76753 -1.07962 -2.22206  C14 1.099
42 H 5.37894 0.48707 -2.26039  C16 1.099
43 H 4.63655 1.28784 -0.77903  C16 1.106
44 H 6.75550 0.51925 0.43490  C17 1.106
45 H 6.83957 2.02525 -0.47157  C17 1.096
46 H 7.56495 0.46839 -1.13113  C17 1.099
47 H 1.10044 1.19995 0.56349  O19 0.971
48 H 0.43760 0.61834 -2.78910  C21 1.106
49 H 1.72325 -0.52242 -3.17879  C21 1.107
50 H 1.87403 1.16709 -3.68128  C21 1.098
51 H 3.75830 -2.88615 2.78364  C24 1.107
52 H 5.00587 -1.79068 2.10594  C24 1.099
53 H 5.21610 -4.99836 2.10426  C26 1.101
54 H 4.31754 -5.41184 0.64416  C26 1.104
55 H 3.38065 -4.85494 2.06405  C26 1.101
56 C 3.67695 4.42608 -0.42991  C57 1.475, H59 1.085, H60 1.089, H61 1.085
57 C 5.04024 4.39688 0.13176  C56 1.475, N58 1.146
58 N 6.10091 4.36953 0.56581  C57 1.146
59 H 3.69732 4.10677 -1.46700  C56 1.085
60 H 3.02906 3.75638 0.13461  C56 1.089
61 H 3.27901 5.43444 -0.37619  C56 1.085
62 C -4.17386 -4.29670 1.03134  C63 1.468, H65 1.090, H66 1.081, H67 1.087
63 C -2.83326 -4.30183 1.63018  C62 1.468, N64 1.148
64 N -1.78630 -4.32014 2.10141  C63 1.148
65 H -4.11238 -4.63092 -0.00402  C62 1.090
66 H -4.82078 -4.96385 1.58448  C62 1.081
67 H -4.58849 -3.29241 1.05929  C62 1.087
68 C -7.52208 -5.23309 -1.12240  C69 1.468, H71 1.090, H72 1.088, H73 1.089
69 C -7.14538 -4.78458 0.22356  C68 1.468, N70 1.147
70 N -6.85336 -4.43353 1.27526  C69 1.147
71 H -6.63413 -5.31498 -1.74842  C68 1.090